Plan: non-run, cross-training workout. Modification: expected to take the day off. Completed: approximately 1.5 miles of hiking and close to 400 steps.
I flew into Denver on Thursday, and by some divine stroke of luck I managed to score a single ticket to the Tom Petty and the Heartbreakers concert at Red Rocks Amphitheatre, with Joe Cocker as the opening act. Please, click through to the Red Rocks site to see how gorgeous this place is. I’ll wait.
Back? Good. When I arrived at the hotel I asked the guy at the desk for the best route to Red Rocks at rush hour. He gave me two stellar pieces of advice. 1) Even though I thought that I was just going to a concert, I was really going for a hike, and 2) Drink two liters of water on my first night — “no alcohol, caffeine or… other stuff at the concert” — to counteract the dehydration from the flight and altitude.
He wasn’t kidding about the hike. My parking spot at Red Rocks was approximately three-quarters of a mile from the entrance, but that was just the start. Once you get to the venue, you have to climb stairs. It was something more than 150 from the road to the stage level, then another 200 to the top. Even though I was only in row 18, I did walk all the way to the top just to see the view of the sparkling city lights beyond. Absolutely gorgeous.
Plan: rest day. Modification: cross-training non-run workout. Completed: upper body weights and yoga at the hotel gym.
[Here the page breaks off for records of crystals]
********
Diffraction record for Nd8Co3RuCl4. The X-ray powder pattern is simulated, not measured: it uses a cell relaxed with PBE and Cu Kα (weighted mean of Kα1 and Kα2).

Principal peaks in the range 2θ = 10–90°, low angle first:
- (0 0 1), d = 7.631 Å, I 31
- (2 2 0), d = 3.289 Å, I 28
- (4 0 0), d = 2.945 Å, I 100
- (2 2 -3), d = 2.368 Å, I 19
- (2 2 2), d = 2.198 Å, I 30
- (0 4 0), d = 1.983 Å, I 35
- (4 0 -5), d = 1.780 Å, I 14
- (4 4 0), d = 1.645 Å, I 17
- (10 2 -2), d = 1.266 Å, I 14
- (6 2 -7), d = 1.209 Å, I 9

Cell and atoms:
```
data_Nd8Co3RuCl4
_symmetry_space_group_name_H-M 'C 1 2/m 1'
_symmetry_Int_Tables_number 12
_symmetry_space_group_name_Hall '-C 2y'
_cell_length_a 13.735
_cell_length_b 7.930
_cell_length_c 8.899
_cell_angle_alpha 90.00
_cell_angle_beta 120.96
_cell_angle_gamma 90.00
loop_
_atom_site_label
_atom_site_type_symbol
_atom_site_fract_x
_atom_site_fract_y
_atom_site_fract_z
_atom_site_occupancy
Nd1 Nd 0.015 0.247 0.295 1
Nd2 Nd 0.233 0.000 0.697 1
Nd3 Nd 0.237 0.500 0.704 1
Co1 Co 0.000 0.000 0.500 1
Co2 Co 0.250 0.250 0.500 1
Ru1 Ru 0.000 0.500 0.500 1
Cl1 Cl 0.000 0.000 0.000 1
Cl2 Cl 0.000 0.500 0.000 1
Cl3 Cl 0.250 0.250 0.000 1
```
********
[The page goes on]
Considering the previous evening’s hike, I was going to bail on the workout, but then decided that I really did need to pay a little bit of attention to my abs and arms, simply for the sake of balance.
Between two parts of the page: data records =
+++
Record 1
# Sr4MgNb3O12
Simulated XRD peak list, Cu Kα X-rays. Input: a DFT-relaxed cell (PBE, Alexandria).
Lines closer than 0.1° are merged.

Crystal structure
```
Sr4MgNb3O12
1.0
-4.0704 4.0704 4.0704
4.0704 -4.0704 4.0704
4.0704 4.0704 -4.0704
Sr Mg Nb O
4 1 3 12
Cartesian
2.0352 2.0352 -2.0352 Sr
2.0352 -2.0352 2.0352 Sr
-2.0352 2.0352 2.0352 Sr
2.0352 2.0352 2.0352 Sr
0.0000 0.0000 0.0000 Mg
4.0704 0.0000 0.0000 Nb
0.0000 4.0704 0.0000 Nb
0.0000 0.0000 4.0704 Nb
2.0877 0.0000 0.0000 O
6.0531 0.0000 0.0000 O
4.0704 2.0352 0.0000 O
4.0704 0.0000 2.0352 O
0.0000 2.0877 0.0000 O
0.0000 0.0000 2.0877 O
2.0352 4.0704 0.0000 O
2.0352 0.0000 4.0704 O
0.0000 6.0531 0.0000 O
0.0000 0.0000 6.0531 O
0.0000 4.0704 2.0352 O
0.0000 2.0352 4.0704 O
```

Main lines, in order of rising 2θ (2θ from 5° to 70°):
two_theta	d (Å)	intensity
15.4	5.756	8
26.8	3.323	4
31.1	2.878	100
34.9	2.574	2
38.3	2.350	6
41.5	2.176	2
44.5	2.035	37
55.3	1.662	39
57.7	1.597	1
64.8	1.439	22

***

Record 2
# AcCu2OsO8
Simulated XRD peak list, Cu Kα X-rays. Input: a DFT-relaxed cell (PBE, Alexandria).
Lines closer than 0.1° are merged.

Crystal structure
```
AcCu2OsO8
1.0
-3.4910 3.4910 3.2849
3.4910 -3.4910 3.2849
3.4910 3.4910 -3.2849
Ac Cu Os O
1 2 1 8
Cartesian
0.0000 0.0000 0.0000 Ac
3.4910 0.0000 1.6425 Cu
0.0000 0.0000 3.2849 Cu
0.0000 3.4910 1.6425 Os
2.4115 0.0000 0.1407 O
4.5704 0.0000 0.1407 O
3.4910 1.8944 -1.2075 O
3.4910 -1.0795 3.1442 O
0.0000 1.5965 2.0774 O
3.4910 1.0795 3.1442 O
1.8944 3.4910 1.2075 O
1.5965 0.0000 4.4924 O
```

Main lines, in order of rising 2θ (2θ from 5° to 70°):
two_theta	d (Å)	intensity
18.5	4.785	53
25.5	3.491	100
31.7	2.820	17
32.7	2.735	82
36.4	2.469	26
49.8	1.832	64
52.4	1.745	16
62.5	1.486	16
63.2	1.471	18
68.7	1.367	17

***

Record 3
# V2FePt3
Simulated XRD peak list, Cu Kα X-rays. Input: a DFT-relaxed cell (PBE, Alexandria).
Lines closer than 0.1° are merged.

Crystal structure
```
V2FePt3
1.0
1.9277 -5.7921 0.0000
1.9277 5.7921 0.0000
0.0000 0.0000 3.8440
V Fe Pt
2 1 3
Cartesian
1.9277 3.9308 0.0000 V
1.9277 -3.9308 0.0000 V
1.9277 0.0000 0.0000 Fe
0.0000 0.0000 1.9220 Pt
1.9277 1.9258 1.9220 Pt
1.9277 -1.9258 1.9220 Pt
```

Main lines, in order of rising 2θ (2θ from 5° to 70°):
two_theta	d (Å)	intensity
23.1	3.844	33
32.8	2.728	28
40.5	2.225	100
47.1	1.929	32
47.3	1.922	16
53.1	1.724	16
58.8	1.571	12
68.8	1.364	10
69.0	1.362	20

***

Record 4
# PmY5Sc2
Simulated XRD peak list, Cu Kα X-rays. Input: a DFT-relaxed cell (PBE, Alexandria).
Lines closer than 0.1° are merged.

Crystal structure
```
PmY5Sc2
1.0
-4.3741 4.3741 6.4258
4.3741 -4.3741 6.4258
4.3741 4.3741 -6.4258
Pm Y Sc
2 10 4
Cartesian
0.0000 0.0000 3.2129 Pm
0.0000 0.0000 9.6386 Pm
0.0000 0.0000 0.0000 Y
3.0380 -1.3362 2.0117 Y
5.7103 -1.3362 4.4140 Y
5.7103 1.3362 2.0117 Y
3.0380 1.3362 4.4140 Y
0.0000 0.0000 6.4258 Y
1.3362 3.0380 2.0117 Y
-1.3362 3.0380 4.4140 Y
-1.3362 5.7103 2.0117 Y
1.3362 5.7103 4.4140 Y
3.1554 1.2187 0.0000 Sc
3.1554 -1.2187 6.4258 Sc
+++
Plan: 3 mile easy run. Completed: 3 mile easy run plus 3.5 miles of easy walk.
~~~
Entry 1:
# Rb2ReNiBr6
Theoretical X-ray diffraction stick pattern, Cu Ka. Input: a DFT-relaxed cell (GGA-PBE, Alexandria).
Lines closer than 0.1° are merged.

Top 12 peaks for 2θ = 10–90°, by angle:
14.6°, I = 17; 16.9°, I = 39; 23.9°, I = 39; 29.4°, I = 42; 34.1°, I = 100; 38.2°, I = 20; 42.1°, I = 18; 49.0°, I = 70; 58.1°, I = 17; 61.0°, I = 24; 71.8°, I = 11; 81.9°, I = 31

Crystal structure
Unit cell a=7.4412 b=7.4412 c=7.4412 alpha=60.00 beta=60.00 gamma=60.00
Element x y z (fractional)
Rb  0.2500  0.2500  0.2500
Rb  0.7500  0.7500  0.7500
Re  0.0000  0.0000  0.0000
Ni  0.5000  0.5000  0.5000
Br  0.2497  0.2497  0.7503
Br  0.2497  0.7503  0.2497
Br  0.2497  0.7503  0.7503
Br  0.7503  0.2497  0.2497
Br  0.7503  0.2497  0.7503
Br  0.7503  0.7503  0.2497



Entry 2:
# BaLi3Ir
Theoretical X-ray diffraction stick pattern, Cu Ka. Input: a DFT-relaxed cell (GGA-PBE, Alexandria).
Lines closer than 0.1° are merged.

Top 12 peaks for 2θ = 10–90°, by angle:
10.6°, I = 39; 12.9°, I = 100; 16.3°, I = 57; 18.8°, I = 18; 26.3°, I = 46; 27.9°, I = 41; 28.1°, I = 37; 31.5°, I = 27; 36.9°, I = 30; 37.7°, I = 29; 42.3°, I = 25; 54.9°, I = 18

Crystal structure
Unit cell a=8.8030 b=8.8030 c=6.5503 alpha=101.23 beta=101.23 gamma=73.02
Element x y z (fractional)
Ba  0.0772  0.9228  0.7500
Ba  0.3669  0.6331  0.2500
Ba  0.6331  0.3669  0.7500
Ba  0.9228  0.0772  0.2500
Li  0.0035  0.3719  0.0960
Li  0.0189  0.3803  0.5893
Li  0.3072  0.3097  0.9043
Li  0.3097  0.3072  0.4043
Li  0.3719  0.0035  0.5960
Li  0.3803  0.0189  0.0893
Li  0.6197  0.9811  0.9107
Li  0.6281  0.9965  0.4040
Li  0.6903  0.6928  0.5957
Li  0.6928  0.6903  0.0957
Li  0.9811  0.6197  0.4107
Li  0.9965  0.6281  0.9040
Ir  0.2457  0.5681  0.7086
Ir  0.4319  0.7543  0.7914
Ir  0.5681  0.2457  0.2086
Ir  0.7543  0.4319  0.2914



Entry 3:
# CaTb5As6
Theoretical X-ray diffraction stick pattern, Cu Ka. Input: a DFT-relaxed cell (GGA-PBE, Alexandria).
Lines closer than 0.1° are merged.

Top 12 peaks for 2θ = 10–90°, by angle:
14.9°, I = 3; 26.3°, I = 15; 30.4°, I = 100; 43.6°, I = 74; 51.6°, I = 6; 53.9°, I = 7; 54.1°, I = 20; 63.3°, I = 12; 71.8°, I = 22; 71.9°, I = 11; 79.8°, I = 6; 80.0°, I = 17

Crystal structure
Unit cell a=7.1947 b=7.1947 c=7.2090 alpha=99.56 beta=99.56 gamma=120.06
Element x y z (fractional)
Ca  0.0000  0.0000  0.0000
Tb  0.1654  0.8346  0.5000
Tb  0.3328  0.6672  0.0000
Tb  0.5000  0.5000  0.5000
Tb  0.6672  0.3328  0.0000
Tb  0.8346  0.1654  0.5000
As  0.0845  0.4229  0.2526
As  0.2545  0.2545  0.7473
As  0.4229  0.0845  0.2526
As  0.5771  0.9155  0.7474
As  0.7455  0.7455  0.2527
As  0.9155  0.5771  0.7474



Entry 4:
# Pm5Al3
Theoretical X-ray diffraction stick pattern, Cu Ka. Input: a DFT-relaxed cell (GGA-PBE, Alexandria).
Lines closer than 0.1° are merged.

Top 12 peaks for 2θ = 10–90°, by angle:
~~~
I hadn’t planned to do six miles today. Really. I went out early and ran the Cherry Creek trail in Denver, meeting my mileage requirement. Then I ran into the walking group from the conference. Sure, I thought, I can tag along with them. A cooldown walk would be good. What I didn’t realize was that we were going to do the same three mile loop that I’d just done. The extra half mile came from my additional walk to Starbucks for my standard on-the-road post-workout breakfast of oatmeal and a large black iced tea.
I’m feeling surprisingly good here. Denver is a beautiful place, and I want to make the most of the outdoorsy fitness options that the city has to offer. It turns out that I have a larger schedule gap on Monday than I’d originally thought, so I’m considering heading back out to Red Rocks and doing a hike, just because it’s there. We’ll see how the rest of the trip plays out.
Tags: concert, conference, creative freelancer conference, Denver, hiking, hydration, Joe Cocker, running, team in training, Tom Petty, travel, walking, weights, yoga